== Material ==
No. 1
# C4H9NPS2

An isolated ion of composition C4H9NPS2 and charge +1 (the ωB97M-V functional and the def2-TZVPD basis, the OMol25 dataset).

- Gap between HOMO and LUMO: 8.8128 eV
- Charge: +1
- Spin multiplicity: 1
- HOMO: -12.9 eV

The geometry in XYZ format:
```
17
Properties=species:S:1:pos:R:3:lowdin_charge:R:1
C 1.6340 -0.9971 -0.2548 -0.15
C 2.1206 0.4067 0.0491 -0.54
S 0.9913 1.4945 0.9378 0.85
C -0.5159 1.4296 -0.0699 -0.64
P -1.7794 0.4824 0.7672 0.93
N -1.7107 -1.1283 0.4931 -0.14
C -2.2197 -1.6051 -0.5289 -0.86
S -2.7947 -2.3025 -1.7507 0.95
H 1.2777 -1.4873 0.6489 0.07
H 2.4565 -1.5783 -0.6638 0.09
H 0.8258 -0.9971 -0.9833 0.05
H 2.4740 0.9065 -0.8499 0.08
H 2.9714 0.3525 0.7276 0.08
H -0.9041 2.4454 -0.1536 0.06
H -0.3621 1.0088 -1.0603 0.07
H -3.0452 0.9389 0.3938 0.05
H -1.6735 0.6859 2.1324 0.04
```


No. 2
# C30H32ClN3PbSSi2

C30H32ClN3PbSSi2 as an isolated structure at a distorted geometry (the ωB97M-V functional and the def2-TZVPD basis, the OMol25 dataset).

- Gap between HOMO and LUMO (alpha / beta): 5.2969 / 5.2975 eV
- Energy relative to the best compared isomer or geometry (same formula, charge and spin): 0.0 kcal/mol
- Charge: +2
- Spin multiplicity: 1
- HOMO (alpha / beta): -13.0 / -13.0 eV

The geometry in XYZ format:
```
70
Properties=species:S:1:pos:R:3:lowdin_charge:R:1
C -2.1300 -0.5027 5.5007 -0.17
C -2.9868 -0.1859 4.4123 -0.26
C -2.5928 -1.0215 3.2945 -0.27
H -3.8710 0.4497 4.4623 0.10
C -1.5411 -1.8563 3.7389 -0.16
C -1.2657 -1.5486 5.0941 -0.17
H -0.6034 -2.1204 5.7539 0.11
H -2.1572 -0.0478 6.4937 0.11
H -3.0728 -1.0501 2.3137 0.09
H -1.0433 -2.6221 3.1448 0.09
Pb -1.1398 1.3531 3.1570 1.29
Si -1.0367 0.8504 -2.3259 0.83
C -0.6070 2.1304 -3.6639 -0.28
C 0.6580 1.9392 -4.2751 -0.13
H 1.1759 0.9708 -4.2120 0.11
C 1.3301 2.9619 -4.9648 -0.06
H 2.3973 2.8496 -5.2078 0.12
C 0.6373 4.1419 -5.2550 -0.07
H 1.1758 4.9968 -5.6819 0.12
C -0.7373 4.2118 -4.9557 -0.06
H -1.2928 5.1260 -5.2497 0.12
C -1.3780 3.1764 -4.2314 -0.07
H -2.4674 3.2190 -4.1306 0.11
C -0.5339 -0.6782 -3.4423 -0.26
C -1.0204 -0.7428 -4.7795 -0.08
H -1.8547 -0.1080 -5.0996 0.12
C -0.3831 -1.5242 -5.7567 -0.05
H -0.6973 -1.4867 -6.8018 0.12
C 0.6999 -2.3470 -5.4073 -0.05
H 1.2411 -2.9133 -6.1659 0.12
C 1.1107 -2.4047 -4.0777 -0.06
H 1.9085 -3.0786 -3.7545 0.12
C 0.5277 -1.5407 -3.1474 -0.15
H 1.0091 -1.5768 -2.1716 0.03
H -2.5076 0.8412 -2.0936 0.04
Si 2.1558 -0.5351 -0.2008 0.42
C 1.2090 -2.0980 0.2090 -0.31
C -0.1138 -2.2907 -0.2263 -0.15
H -0.5245 -1.7604 -1.0876 0.07
C -0.9823 -3.2590 0.2661 -0.06
H -2.0605 -3.2129 0.0506 0.13
C -0.4570 -4.3285 0.9880 -0.06
H -1.0909 -5.1420 1.3441 0.12
C 0.9271 -4.3441 1.1896 -0.06
H 1.3814 -5.2332 1.6285 0.12
C 1.7375 -3.2465 0.8430 -0.08
H 2.8109 -3.2543 1.0477 0.11
C 0.9283 0.7248 -0.8327 -0.28
C -0.5352 0.7454 -0.4581 -0.32
H -0.9730 -0.0931 0.0939 0.11
C -1.0465 1.9958 0.1131 -0.19
H -2.0367 1.9944 0.5990 0.09
C -0.3631 3.1622 -0.1106 -0.05
H -0.7548 4.1175 0.2553 0.14
C 0.8100 3.1695 -0.8643 0.01
H 1.2826 4.1271 -1.1019 0.15
C 1.3847 1.9847 -1.2985 -0.12
H 2.2628 2.0262 -1.9518 0.14
H 3.4260 -0.9208 -0.6765 -0.01
Cl 2.6866 0.6721 1.4522 0.39
N 0.8642 -0.0382 4.1195 -0.08
N 1.1398 -0.0616 5.5284 -0.04
C 0.8309 1.0522 6.2256 -0.81
N 1.2418 1.0215 7.5203 0.13
S -0.0230 2.3574 5.5292 0.59
H 1.5656 0.5560 3.6672 0.00
H 1.0114 -0.9768 3.7367 0.10
H 1.2076 -0.9674 5.9967 0.16
H 1.2181 1.8665 8.0732 0.12
H 1.9278 0.3278 7.8179 0.13
```


No. 3
# C8H12O

One molecule with the formula C8H12O at a distorted geometry (the ωB97M-V functional and the def2-TZVPD basis, the OMol25 dataset).

- Gap between HOMO and LUMO: 10.2338 eV
- Energy relative to the best compared isomer or geometry (same formula, charge and spin): 47.9 kcal/mol
- SMILES string: C=C(C)[C@@]12CCC[C@@H]1O2
- Spin multiplicity: 1
- HOMO: -9.3 eV

The geometry in XYZ format:
```
21
Properties=species:S:1:pos:R:3:lowdin_charge:R:1
C 1.9396 1.4710 0.2503 0.06
C 1.5506 0.2275 -0.1116 -0.25
C 2.4753 -0.9823 -0.1842 -0.05
== Job ==
Could you print the whole of the lines above exactly?
== Reply ==
No. 1
# C4H9NPS2

An isolated ion of composition C4H9NPS2 and charge +1 (the ωB97M-V functional and the def2-TZVPD basis, the OMol25 dataset).

- Gap between HOMO and LUMO: 8.8128 eV
- Charge: +1
- Spin multiplicity: 1
- HOMO: -12.9 eV

The geometry in XYZ format:
```
17
Properties=species:S:1:pos:R:3:lowdin_charge:R:1
C 1.6340 -0.9971 -0.2548 -0.15
C 2.1206 0.4067 0.0491 -0.54
S 0.9913 1.4945 0.9378 0.85
C -0.5159 1.4296 -0.0699 -0.64
P -1.7794 0.4824 0.7672 0.93
N -1.7107 -1.1283 0.4931 -0.14
C -2.2197 -1.6051 -0.5289 -0.86
S -2.7947 -2.3025 -1.7507 0.95
H 1.2777 -1.4873 0.6489 0.07
H 2.4565 -1.5783 -0.6638 0.09
H 0.8258 -0.9971 -0.9833 0.05
H 2.4740 0.9065 -0.8499 0.08
H 2.9714 0.3525 0.7276 0.08
H -0.9041 2.4454 -0.1536 0.06
H -0.3621 1.0088 -1.0603 0.07
H -3.0452 0.9389 0.3938 0.05
H -1.6735 0.6859 2.1324 0.04
```


No. 2
# C30H32ClN3PbSSi2

C30H32ClN3PbSSi2 as an isolated structure at a distorted geometry (the ωB97M-V functional and the def2-TZVPD basis, the OMol25 dataset).

- Gap between HOMO and LUMO (alpha / beta): 5.2969 / 5.2975 eV
- Energy relative to the best compared isomer or geometry (same formula, charge and spin): 0.0 kcal/mol
- Charge: +2
- Spin multiplicity: 1
- HOMO (alpha / beta): -13.0 / -13.0 eV

The geometry in XYZ format:
```
70
Properties=species:S:1:pos:R:3:lowdin_charge:R:1
C -2.1300 -0.5027 5.5007 -0.17
C -2.9868 -0.1859 4.4123 -0.26
C -2.5928 -1.0215 3.2945 -0.27
H -3.8710 0.4497 4.4623 0.10
C -1.5411 -1.8563 3.7389 -0.16
C -1.2657 -1.5486 5.0941 -0.17
H -0.6034 -2.1204 5.7539 0.11
H -2.1572 -0.0478 6.4937 0.11
H -3.0728 -1.0501 2.3137 0.09
H -1.0433 -2.6221 3.1448 0.09
Pb -1.1398 1.3531 3.1570 1.29
Si -1.0367 0.8504 -2.3259 0.83
C -0.6070 2.1304 -3.6639 -0.28
C 0.6580 1.9392 -4.2751 -0.13
H 1.1759 0.9708 -4.2120 0.11
C 1.3301 2.9619 -4.9648 -0.06
H 2.3973 2.8496 -5.2078 0.12
C 0.6373 4.1419 -5.2550 -0.07
H 1.1758 4.9968 -5.6819 0.12
C -0.7373 4.2118 -4.9557 -0.06
H -1.2928 5.1260 -5.2497 0.12
C -1.3780 3.1764 -4.2314 -0.07
H -2.4674 3.2190 -4.1306 0.11
C -0.5339 -0.6782 -3.4423 -0.26
C -1.0204 -0.7428 -4.7795 -0.08
H -1.8547 -0.1080 -5.0996 0.12
C -0.3831 -1.5242 -5.7567 -0.05
H -0.6973 -1.4867 -6.8018 0.12
C 0.6999 -2.3470 -5.4073 -0.05
H 1.2411 -2.9133 -6.1659 0.12
C 1.1107 -2.4047 -4.0777 -0.06
H 1.9085 -3.0786 -3.7545 0.12
C 0.5277 -1.5407 -3.1474 -0.15
H 1.0091 -1.5768 -2.1716 0.03
H -2.5076 0.8412 -2.0936 0.04
Si 2.1558 -0.5351 -0.2008 0.42
C 1.2090 -2.0980 0.2090 -0.31
C -0.1138 -2.2907 -0.2263 -0.15
H -0.5245 -1.7604 -1.0876 0.07
C -0.9823 -3.2590 0.2661 -0.06
H -2.0605 -3.2129 0.0506 0.13
C -0.4570 -4.3285 0.9880 -0.06
H -1.0909 -5.1420 1.3441 0.12
C 0.9271 -4.3441 1.1896 -0.06
H 1.3814 -5.2332 1.6285 0.12
C 1.7375 -3.2465 0.8430 -0.08
H 2.8109 -3.2543 1.0477 0.11
C 0.9283 0.7248 -0.8327 -0.28
C -0.5352 0.7454 -0.4581 -0.32
H -0.9730 -0.0931 0.0939 0.11
C -1.0465 1.9958 0.1131 -0.19
H -2.0367 1.9944 0.5990 0.09
C -0.3631 3.1622 -0.1106 -0.05
H -0.7548 4.1175 0.2553 0.14
C 0.8100 3.1695 -0.8643 0.01
H 1.2826 4.1271 -1.1019 0.15
C 1.3847 1.9847 -1.2985 -0.12
H 2.2628 2.0262 -1.9518 0.14
H 3.4260 -0.9208 -0.6765 -0.01
Cl 2.6866 0.6721 1.4522 0.39
N 0.8642 -0.0382 4.1195 -0.08
N 1.1398 -0.0616 5.5284 -0.04
C 0.8309 1.0522 6.2256 -0.81
N 1.2418 1.0215 7.5203 0.13
S -0.0230 2.3574 5.5292 0.59
H 1.5656 0.5560 3.6672 0.00
H 1.0114 -0.9768 3.7367 0.10
H 1.2076 -0.9674 5.9967 0.16
H 1.2181 1.8665 8.0732 0.12
H 1.9278 0.3278 7.8179 0.13
```


No. 3
# C8H12O

One molecule with the formula C8H12O at a distorted geometry (the ωB97M-V functional and the def2-TZVPD basis, the OMol25 dataset).

- Gap between HOMO and LUMO: 10.2338 eV
- Energy relative to the best compared isomer or geometry (same formula, charge and spin): 47.9 kcal/mol
- SMILES string: C=C(C)[C@@]12CCC[C@@H]1O2
- Spin multiplicity: 1
- HOMO: -9.3 eV

The geometry in XYZ format:
```
21
Properties=species:S:1:pos:R:3:lowdin_charge:R:1
C 1.9396 1.4710 0.2503 0.06
C 1.5506 0.2275 -0.1116 -0.25
C 2.4753 -0.9823 -0.1842 -0.05